Data >
-- begin --
Record 1
The following is a GGA-PBE calculation of a relaxed structure of CrN, from the Materials Project.

Values from the calculation:
The calculation puts the formation energy at -15.3 kcal/mol of atoms. The corrected total energy (MP2020 scheme) comes out at -9.6576 eV/atom.

Geometry as POSCAR:
```
CrN
1.0
0.000 2.200 2.200
2.200 0.000 2.200
2.200 2.200 0.000
N Cr
1 1
Cartesian
0.000 0.000 0.000 N
1.100 1.100 1.100 Cr
```

***

Record 2
The following is a GGA-PBE calculation of a relaxed structure of Cr3N2, from the Materials Project.

Values from the calculation:
The calculation puts the formation energy at -10.8 kcal/mol of atoms. The excess energy over the best structure of this formula in the dataset comes out at 81.5 meV per atom. The corrected total energy (MP2020 scheme) comes out at -9.5930 eV/atom.

Geometry as POSCAR:
```
Cr3N2
1.0
-4.772 -0.960 6.249
-4.241 2.512 -6.200
3.441 -6.909 -1.780
Cr N
24 16
Cartesian
-1.335 -0.514 1.379 Cr
-1.277 0.351 -1.481 Cr
-3.446 -0.762 -0.650 Cr
-4.304 -5.674 -0.294 Cr
-3.651 -2.065 2.920 Cr
-1.766 -3.001 0.869 Cr
-1.899 -3.241 -4.655 Cr
0.416 -4.812 -1.671 Cr
0.553 -3.939 -4.089 Cr
-5.269 1.352 -1.718 Cr
-6.109 -1.456 2.322 Cr
-4.330 -2.873 0.531 Cr
-0.350 -6.687 -0.036 Cr
-3.786 0.128 -3.431 Cr
-2.123 -4.650 -1.078 Cr
-1.292 -2.489 -2.239 Cr
-1.971 -3.840 3.729 Cr
-3.620 -1.545 -5.417 Cr
0.532 -1.835 -0.544 Cr
-1.735 -5.467 1.699 Cr
-6.062 -3.556 -1.188 Cr
-4.259 -4.827 -3.062 Cr
-5.960 -0.514 -0.026 Cr
-3.832 -2.363 -2.649 Cr
-4.489 0.780 0.001 N
-2.987 -1.510 1.132 N
-2.489 -0.906 -2.338 N
-4.980 -1.937 -1.054 N
-6.925 0.261 -1.604 N
-0.021 -0.020 -0.007 N
-4.700 -0.445 3.337 N
-0.592 -3.416 -0.679 N
-0.679 -3.908 2.241 N
-3.083 -4.448 0.610 N
-2.726 0.227 -5.093 N
-2.582 -3.847 -2.863 N
-0.874 -4.915 -5.067 N
-2.852 -5.583 3.362 N
1.352 -5.619 -0.131 N
-0.384 -2.208 -3.967 N
```

***

Record 3
The following is a GGA-PBE calculation of a relaxed structure of Cr3N2, from the Materials Project.

Values from the calculation:
The calculation puts the formation energy at -12.6 kcal/mol of atoms. The excess energy over the best structure of this formula in the dataset comes out at 0.0 meV per atom. The corrected total energy (MP2020 scheme) comes out at -9.6745 eV/atom.

Geometry as POSCAR:
```
Cr3N2
1.0
1.347 1.632 5.063
-2.722 -0.735 4.708
1.385 -3.035 4.357
Cr N
6 4
Cartesian
-0.042 0.683 6.125 Cr
1.406 -1.639 5.772 Cr
0.052 -2.822 8.003 Cr
-1.352 -1.718 5.763 Cr
1.362 -0.421 8.366 Cr
-1.396 -0.500 8.356 Cr
0.006 -1.410 9.315 N
0.008 -1.798 11.877 N
0.003 -0.729 4.813 N
0.002 -0.341 2.251 N
```

***

Record 4
The following is a GGA-PBE calculation of a relaxed structure of Cr3N2, from the Materials Project.

Values from the calculation:
The calculation puts the formation energy at -11.4 kcal/mol of atoms. The excess energy over the best structure of this formula in the dataset comes out at 55.7 meV per atom. The corrected total energy (MP2020 scheme) comes out at -9.6188 eV/atom.

Geometry as POSCAR:
```
Cr3N2
1.0
2.026 -2.026 0.000
2.026 2.026 0.000
-2.026 0.000 5.768
N Cr
2 3
Cartesian
0.000 0.000 1.942 N
2.026 0.000 3.826 N
0.000 0.000 0.000 Cr
2.026 0.000 1.767 Cr
0.000 0.000 4.001 Cr
```

***

Record 5
The following is a GGA-PBE calculation of a relaxed structure of Cr3N4, from the Materials Project.

Values from the calculation:
The calculation puts the formation energy at -8.4 kcal/mol of atoms. The excess energy over the best structure of this formula in the dataset comes out at 146.5 meV per atom. The corrected total energy (MP2020 scheme) comes out at -9.2636 eV/atom.

Geometry as POSCAR:
```
Cr3N4
1.0
4.812 0.000 0.000
0.000 5.892 0.000
0.000 0.000 9.948
Cr N
12 16
Cartesian
4.762 1.473 7.344 Cr
0.000 0.000 0.000 Cr
0.050 4.419 2.605 Cr
1.994 1.473 9.041 Cr
0.412 1.473 4.067 Cr
2.406 2.946 4.974 Cr
2.406 0.000 4.974 Cr
2.456 1.473 2.369 Cr
4.401 4.419 5.882 Cr
2.356 4.419 7.579 Cr
2.818 4.419 0.907 Cr
0.000 2.946 0.000 Cr
1.201 2.863 3.311 N
1.344 4.419 5.823 N
-- stop --
Assignment >
Print all of the notes above without additions.
Reply >
Record 1
The following is a GGA-PBE calculation of a relaxed structure of CrN, from the Materials Project.

Values from the calculation:
The calculation puts the formation energy at -15.3 kcal/mol of atoms. The corrected total energy (MP2020 scheme) comes out at -9.6576 eV/atom.

Geometry as POSCAR:
```
CrN
1.0
0.000 2.200 2.200
2.200 0.000 2.200
2.200 2.200 0.000
N Cr
1 1
Cartesian
0.000 0.000 0.000 N
1.100 1.100 1.100 Cr
```

***

Record 2
The following is a GGA-PBE calculation of a relaxed structure of Cr3N2, from the Materials Project.

Values from the calculation:
The calculation puts the formation energy at -10.8 kcal/mol of atoms. The excess energy over the best structure of this formula in the dataset comes out at 81.5 meV per atom. The corrected total energy (MP2020 scheme) comes out at -9.5930 eV/atom.

Geometry as POSCAR:
```
Cr3N2
1.0
-4.772 -0.960 6.249
-4.241 2.512 -6.200
3.441 -6.909 -1.780
Cr N
24 16
Cartesian
-1.335 -0.514 1.379 Cr
-1.277 0.351 -1.481 Cr
-3.446 -0.762 -0.650 Cr
-4.304 -5.674 -0.294 Cr
-3.651 -2.065 2.920 Cr
-1.766 -3.001 0.869 Cr
-1.899 -3.241 -4.655 Cr
0.416 -4.812 -1.671 Cr
0.553 -3.939 -4.089 Cr
-5.269 1.352 -1.718 Cr
-6.109 -1.456 2.322 Cr
-4.330 -2.873 0.531 Cr
-0.350 -6.687 -0.036 Cr
-3.786 0.128 -3.431 Cr
-2.123 -4.650 -1.078 Cr
-1.292 -2.489 -2.239 Cr
-1.971 -3.840 3.729 Cr
-3.620 -1.545 -5.417 Cr
0.532 -1.835 -0.544 Cr
-1.735 -5.467 1.699 Cr
-6.062 -3.556 -1.188 Cr
-4.259 -4.827 -3.062 Cr
-5.960 -0.514 -0.026 Cr
-3.832 -2.363 -2.649 Cr
-4.489 0.780 0.001 N
-2.987 -1.510 1.132 N
-2.489 -0.906 -2.338 N
-4.980 -1.937 -1.054 N
-6.925 0.261 -1.604 N
-0.021 -0.020 -0.007 N
-4.700 -0.445 3.337 N
-0.592 -3.416 -0.679 N
-0.679 -3.908 2.241 N
-3.083 -4.448 0.610 N
-2.726 0.227 -5.093 N
-2.582 -3.847 -2.863 N
-0.874 -4.915 -5.067 N
-2.852 -5.583 3.362 N
1.352 -5.619 -0.131 N
-0.384 -2.208 -3.967 N
```

***

Record 3
The following is a GGA-PBE calculation of a relaxed structure of Cr3N2, from the Materials Project.

Values from the calculation:
The calculation puts the formation energy at -12.6 kcal/mol of atoms. The excess energy over the best structure of this formula in the dataset comes out at 0.0 meV per atom. The corrected total energy (MP2020 scheme) comes out at -9.6745 eV/atom.

Geometry as POSCAR:
```
Cr3N2
1.0
1.347 1.632 5.063
-2.722 -0.735 4.708
1.385 -3.035 4.357
Cr N
6 4
Cartesian
-0.042 0.683 6.125 Cr
1.406 -1.639 5.772 Cr
0.052 -2.822 8.003 Cr
-1.352 -1.718 5.763 Cr
1.362 -0.421 8.366 Cr
-1.396 -0.500 8.356 Cr
0.006 -1.410 9.315 N
0.008 -1.798 11.877 N
0.003 -0.729 4.813 N
0.002 -0.341 2.251 N
```

***

Record 4
The following is a GGA-PBE calculation of a relaxed structure of Cr3N2, from the Materials Project.

Values from the calculation:
The calculation puts the formation energy at -11.4 kcal/mol of atoms. The excess energy over the best structure of this formula in the dataset comes out at 55.7 meV per atom. The corrected total energy (MP2020 scheme) comes out at -9.6188 eV/atom.

Geometry as POSCAR:
```
Cr3N2
1.0
2.026 -2.026 0.000
2.026 2.026 0.000
-2.026 0.000 5.768
N Cr
2 3
Cartesian
0.000 0.000 1.942 N
2.026 0.000 3.826 N
0.000 0.000 0.000 Cr
2.026 0.000 1.767 Cr
0.000 0.000 4.001 Cr
```

***

Record 5
The following is a GGA-PBE calculation of a relaxed structure of Cr3N4, from the Materials Project.

Values from the calculation:
The calculation puts the formation energy at -8.4 kcal/mol of atoms. The excess energy over the best structure of this formula in the dataset comes out at 146.5 meV per atom. The corrected total energy (MP2020 scheme) comes out at -9.2636 eV/atom.

Geometry as POSCAR:
```
Cr3N4
1.0
4.812 0.000 0.000
0.000 5.892 0.000
0.000 0.000 9.948
Cr N
12 16
Cartesian
4.762 1.473 7.344 Cr
0.000 0.000 0.000 Cr
0.050 4.419 2.605 Cr
1.994 1.473 9.041 Cr
0.412 1.473 4.067 Cr
2.406 2.946 4.974 Cr
2.406 0.000 4.974 Cr
2.456 1.473 2.369 Cr
4.401 4.419 5.882 Cr
2.356 4.419 7.579 Cr
2.818 4.419 0.907 Cr
0.000 2.946 0.000 Cr
1.201 2.863 3.311 N
1.344 4.419 5.823 N